This article is a part of the June 2013 issue of the Lausanne Global Analysis. Access other articles from this issue or download the full issue as a free PDF download.
Joshua succeeded Moses as the leader of the Israelites. Initially a soldier, he became a spy, then a servant or assistant to Moses, then second-in-command, and finally Moses’ successor. An outstanding leader, who was visited by the “Commander of the Army of the Lord,” probably the pre-incarnate Christ.
Joshua understood succession and, and knowing that, after all the battles that lay ahead, people would settle down into much more routine living and farming, wanted to ensure that the memory of what they were about to do would be retained. So he told each tribal leader to bring a rock, or “stone,” out of the River Jordan as they crossed, and then used it to build a memorial in Gilgal (Joshua 4:20) with the explicit purpose that when their children asked what the pile of stones was for, the parents could say, “This is where we crossed over the River Jordan on dry ground.”
Hopefully an element of faith would thus be transmitted. The transmission of faith today, however, is not always given such importance. David Voas’ research has shown that Christian parents today seem less concerned that their offspring should follow them in their faith. It is visibly true that in many churches not all the children of the leaders, ordained or lay, either come to church with them, or follow them in their commitment to Christ. If Paul’s injunction to Timothy about the appointment of “bishops” (“keeping his children submissive and respectful in every way” 1 Timothy 3:4) was strictly followed, some church leaders today would never have been appointed.
**These records of crystals were left in the article by mistake**
+++
DFT (GGA-PBE) results for a relaxed RbNaTlBi crystal.

Lattice parameters (Å, degrees): 5.826 5.826 5.826 60.00 60.00 60.00
Atoms (fractional coordinates):
Bi1 0.500 0.500 0.500
Na1 0.250 0.250 0.250
Tl1 0.750 0.750 0.750
Rb1 0.000 0.000 0.000

Properties
Total magnetic moment, μB per cell: 0.00
E_tot, eV per atom: -2.37
Space-group type: F-43m
ΔE_f, eV per atom: -0.239
Distance to the lowest polymorph of the same formula, kJ per mole of atoms: 3.8

----------

*i*
First-principles (PBE) data for an optimized crystal structure of La5SmY, as listed in Alexandria.

Cell: 5.9659 8.1582 8.1582 Å, 66.76 68.53 68.53°
Fractional coordinates of all 7 atoms:
La 0.7522 0.2478 0.2478
La 0.0000 0.3205 0.6795
La 0.5000 0.0000 0.0000
La 0.0000 0.6795 0.3205
La 0.2478 0.7522 0.7522
Sm 0.0000 0.0000 0.0000
Y 0.5000 0.5000 0.5000

Output
Calculated density = 4.7 g/cm³

*ii*
First-principles (PBE) data for an optimized crystal structure of La5SmY, as listed in Alexandria.

Cell: 9.0312 9.0312 13.5293 Å, 45.94 45.94 44.19°
Fractional coordinates of all 14 atoms:
La 0.7512 0.7465 0.0913
La 0.3354 0.3302 0.5923
La 0.7465 0.7512 0.5913
La 0.2415 0.7585 0.2500
La 0.6698 0.6646 0.9077
La 0.3302 0.3354 0.0923
La 0.7585 0.2415 0.7500
La 0.2535 0.2488 0.4087
La 0.6646 0.6698 0.4077
La 0.2488 0.2535 0.9087
Sm 0.0000 0.0000 0.0000
Sm 0.0000 0.0000 0.5000
Y 0.7615 0.2385 0.2500
Y 0.2385 0.7615 0.7500

Output
Calculated density = 6.1 g/cm³

Which one sits at the top of the stability order? *ii* does.

*i*
First-principles (PBE) data for an optimized crystal structure of LaSm3Y6, as listed in Alexandria.

Cell: 6.4038 10.9762 10.9762 Å, 119.51 90.00 90.00°
Fractional coordinates of all 20 atoms:
La 0.1467 0.1911 0.8089
La 0.6467 0.8089 0.1911
Sm 0.4600 0.9314 0.7065
Sm 0.9600 0.7065 0.9314
Sm 0.0673 0.3883 0.6117
Sm 0.5673 0.6117 0.3883
Sm 0.9600 0.0686 0.2935
Sm 0.4600 0.2935 0.0686
Y 0.0429 0.7104 0.6211
Y 0.5429 0.6211 0.7104
Y 0.3681 0.5279 0.9445
Y 0.8681 0.9445 0.5279
Y 0.3656 0.9586 0.0414
Y 0.6638 0.2683 0.7317
Y 0.1638 0.7317 0.2683
Y 0.8656 0.0414 0.9586
Y 0.3681 0.0555 0.4721
Y 0.8681 0.4721 0.0555
Y 0.0429 0.3789 0.2896
Y 0.5429 0.2896 0.3789

Output
Calculated density = 5.6 g/cm³

*ii*
First-principles (PBE) data for an optimized crystal structure of LaSm3Y6, as listed in Alexandria.

Cell: 9.9915 9.9915 6.9587 Å, 44.12 44.12 60.00°
Fractional coordinates of all 10 atoms:
La 0.9004 0.9004 0.2987
Sm 0.4005 0.4005 0.7985
Sm 0.6489 0.6489 0.0533
Sm 0.1524 0.1524 0.5429
Y 0.8996 0.5702 0.3010
Y 0.2291 0.8996 0.3010
Y 0.5702 0.2291 0.3010
Y 0.0741 0.3997 0.8011
Y 0.7251 0.0741 0.8011
Y 0.3997 0.7251 0.8011

Output
Calculated density = 5.5 g/cm³

Which one sits at the top of the stability order? *i* does.

*i*
First-principles (PBE) data for an optimized crystal structure of La4SmY2, as listed in Alexandria.

Cell: 7.0164 9.1399 9.1399 Å, 79.05 67.43 67.43°
Fractional coordinates of all 14 atoms:
La 0.1507 0.3488 0.3498
La 0.1507 0.8498 0.8488
La 0.2220 0.2442 0.7442
+++
**The records of crystals stop here**
What is true of leadership is also true across the many other church families who worship on a Sunday. The Langham Survey found that only two-fifths of U.K. Christian parents regularly pray with their children. Sunday football, music practice, family outings, and peer pressure all combine to tear young people away from church. Numbers in Sunday School have been declining over the past 50 years, although perhaps not as drastically over the past five years. The percentage of people under the age of 15 in church on a Sunday dropped from 26% in 1979 to 19% in 2005.
How long does it take to lose a generation? Just one generation. “That whole generation [Joshua’s and the elders’ who outlived him] was gathered to their ancestors, and another generation grew up after them, who did not know the Lord or the work He had done for Israel” (Judges 2:10), is one of the saddest verses in Scripture. The appalling chaos, rivalry, idolatry, and cynicism that followed in the century or two of the Judges is vividly recorded. Believers then became few and isolated and brave to hold fast to the old traditions. As Archbishop Carey said in 1999, “the church is always one generation away from extinction.”
We too are fast losing – some would say have already lost – the next generation. The consequences are longitudinal – fewer Christian children, likely means fewer Christian teenagers, which likely means fewer Christian students, which likely means fewer Christians in their twenties, and, ultimately, fewer Christian families, with thus fewer Christian children. The cycle repeats and quickly deteriorates. Internal transmission within the family is a key priority today, but are we in danger of parents blaming the church for not doing enough to keep children, and the church blaming the parents for the low level of commitment in family life?
Matt Summerfield, the leader of Urban Saints (previously called Crusaders) often says, “I want to reach as many young people today as we can for Christ, so that in 20 years’ time they will be producing Christian children for the next generation.” Few seem to have that vision.
Dr. Peter Brierley has been the Lausanne Senior Associate for Church Research for over 20 years. Peter undertakes research for churches and Christian organizations, publishing a contemporary analysis of trends, local and global, in the bi-monthly bulletin FutureFirst, as well as larger collections of data which can be viewed on his website, He is a professional statistician, previous director of Christian Research, author of 14 books, and editor of volumes like Religious Trends, and the UK Christian Handbook.